_Brief_
Find "-0.45731 2.72115" and "4.18380 4.11773" in the contents underneath, and print these two lines and those between.

_Material_
<<<
ORCA calculation (ωB97M-V/def2-TZVPD) on a structure of composition C32H27N6PPt at a distorted geometry.

HOMO energy, eV: -13.603
E_LUMO, eV: -6.544
Largest force on an atom, eV Å⁻¹: 2.09
Orbital gap, Ha: 0.2594
Energy relative to the best compared isomer or geometry (same formula, charge and spin), kcal/mol: 11.0

```
! RIJCOSX wB97M-V def2-TZVPD def2/J DEFGRID3
* xyz 2 1
Pt 0.51850 1.07813 -0.37546
N -2.64068 1.25848 2.61003
C -1.89471 0.88290 1.58801
N -0.83855 1.53673 1.16431
C -0.45731 2.72115 1.83208
N 0.52648 3.44970 1.41979
N 1.15438 2.85919 0.35615
C 2.00549 3.49855 -0.34481
C 2.69942 2.67296 -1.32027
C 3.83640 3.10608 -1.96751
C 4.52307 2.22842 -2.79429
C 4.05687 0.93630 -2.91672
C 2.90250 0.56236 -2.24544
N 2.20634 1.41036 -1.48232
C -1.23698 3.15129 2.98422
C -0.91660 4.30292 3.71198
C -1.70360 4.68167 4.77564
C -2.82240 3.92193 5.13109
C -3.15209 2.78293 4.42782
C -2.35070 2.40695 3.35733
H -3.44202 0.69976 2.86424
H -2.18721 -0.02202 1.07171
H 2.22408 4.54749 -0.17896
H 4.18380 4.11773 -1.80791
H 5.41376 2.54996 -3.31709
H 4.57148 0.20895 -3.52822
H 2.52678 -0.44145 -2.32678
H -0.04605 4.87595 3.42619
H -1.45710 5.57048 5.33916
H -3.43766 4.22888 5.96598
H -4.01538 2.19003 4.70422
N -1.85162 0.67849 -1.67909
C -2.39864 -0.53174 -1.14523
C -3.77336 -0.74437 -1.09802
C -4.28184 -1.92667 -0.58204
C -3.42180 -2.91520 -0.11709
C -2.05401 -2.70530 -0.15243
C -1.52881 -1.50838 -0.64391
P 0.26595 -1.20605 -0.71576
C 0.65824 -1.96337 -2.31183
C 0.53591 -1.17364 -3.45875
C 0.65989 -1.73912 -4.71792
C 0.92870 -3.09635 -4.84143
C 1.06199 -3.88472 -3.70846
C 0.91288 -3.32806 -2.44610
C 0.99912 -2.11539 0.65503
C 0.45023 -1.92346 1.92533
C 1.01855 -2.53017 3.03070
C 2.14788 -3.32733 2.87964
C 2.71652 -3.49570 1.62814
C 2.15320 -2.88215 0.51659
H -1.61102 0.56571 -2.65769
H -2.52591 1.43433 -1.63438
H -4.44453 0.01340 -1.48607
H -5.35239 -2.08363 -0.55983
H -3.81807 -3.84318 0.27255
H -1.38427 -3.46696 0.22956
H 0.37521 -0.10492 -3.36241
H 0.55020 -1.12317 -5.60076
H 1.03586 -3.53742 -5.82354
H 1.27755 -4.94048 -3.80540
H 0.97855 -3.96477 -1.57439
H -0.42958 -1.30348 2.04413
H 0.58607 -2.38380 4.01167
H 2.58598 -3.81214 3.74194
H 3.60268 -4.10557 1.51313
H 2.62440 -2.99998 -0.45006
*
```

ORCA calculation (ωB97M-V/def2-TZVPD) on a cluster of 2 separate species, C32H27NO5 in total at a distorted geometry.

HOMO energy, eV: -7.174
E_LUMO, eV: -2.558
Largest force on an atom, eV Å⁻¹: 2.80
Orbital gap, Ha: 0.1696

```
! RIJCOSX wB97M-V def2-TZVPD def2/J DEFGRID3
* xyz 0 1
C -5.11737 -1.11126 -3.66609
C -3.92567 -0.40797 -3.89365
C -2.83927 -0.57018 -3.03602
C -2.91011 -1.46186 -1.93888
C -1.73759 -1.71791 -1.11968
C -0.45177 -1.50638 -1.65265
C 0.70281 -1.41869 -0.89401
C 2.01483 -1.67521 -1.43876
C 3.07222 -2.06085 -0.57368
C 4.26821 -2.53572 -1.09415
C 4.45698 -2.59765 -2.48553
C 3.46057 -2.12098 -3.34875
C 2.25615 -1.64636 -2.83745
C -1.89338 -2.22361 0.24399
C -1.04613 -3.22144 0.76773
C -1.23707 -3.71989 2.05634
C -2.26282 -3.21096 2.86397
C -3.10667 -2.20818 2.36426
C -2.93092 -1.73621 1.06976
C -4.13052 -2.14377 -1.71154
C -5.22026 -1.96517 -2.55892
H -5.96338 -0.99023 -4.34402
H -3.84273 0.27354 -4.74328
H -1.92738 0.01235 -3.19346
H -0.37903 -1.37569 -2.73383
H 0.62851 -1.36491 0.19580
H 2.89501 -2.01975 0.50617
H 5.05384 -2.87512 -0.41839
H 5.38118 -3.00769 -2.89147
H 3.61707 -2.13342 -4.42847
H 1.47741 -1.27162 -3.50462
H -0.24860 -3.62660 0.13833
H -0.58207 -4.51557 2.42572
H -2.40785 -3.59790 3.87449
H -3.91219 -1.80059 2.98072
H -3.59250 -0.95796 0.68361
H -4.20870 -2.83489 -0.87068
H -6.15149 -2.49516 -2.35384
C 3.75622 4.33670 -2.30126
C 3.27246 3.81664 -0.97502
O 2.34018 2.74353 -1.20525
C 1.83781 2.28626 -0.01855
C 0.71259 1.38969 -0.18273
C -0.34335 1.32447 0.74647
O -1.45593 0.82912 0.46363
C -0.14432 1.87138 2.15994
C -0.06706 3.25028 2.39387
C 0.01845 3.74779 3.68888
C 0.07776 2.83599 4.75856
N 0.51112 3.31016 6.03360
O 0.60142 2.49896 6.98185
O 0.80860 4.52257 6.13912
C -0.07782 1.45330 4.54627
>>>

_Outcome_
C -0.45731 2.72115 1.83208
N 0.52648 3.44970 1.41979
N 1.15438 2.85919 0.35615
C 2.00549 3.49855 -0.34481
C 2.69942 2.67296 -1.32027
C 3.83640 3.10608 -1.96751
C 4.52307 2.22842 -2.79429
C 4.05687 0.93630 -2.91672
C 2.90250 0.56236 -2.24544
N 2.20634 1.41036 -1.48232
C -1.23698 3.15129 2.98422
C -0.91660 4.30292 3.71198
C -1.70360 4.68167 4.77564
C -2.82240 3.92193 5.13109
C -3.15209 2.78293 4.42782
C -2.35070 2.40695 3.35733
H -3.44202 0.69976 2.86424
H -2.18721 -0.02202 1.07171
H 2.22408 4.54749 -0.17896
H 4.18380 4.11773 -1.80791